[Material]
- - -
Material: GaCuPt2
Method: DFT, GGA-PBE
State: optimized geometry

```
4
Lattice="-0.165 -0.509 3.533 -2.968 2.700 0.250 -2.705 -2.923 -0.547" Properties=species:S:1:pos:R:3 pbc="T T T"
Pt -1.435 -1.716 1.493
Pt -1.566 1.096 1.892
Ga -2.837 -0.112 -0.148
Cu 0.000 0.000 0.000
```

Output
DFT total energy: -21.2 eV/f.u.

***

Material: Ta3Mn8Si
Method: DFT, GGA-PBE
State: optimized geometry

```
12
Lattice="-4.660 0.878 0.345 2.009 -0.527 -4.277 -1.425 -7.674 0.275" Properties=species:S:1:pos:R:3 pbc="T T T"
Ta -0.307 -0.562 -2.718
Ta -0.844 -3.449 -2.614
Ta -3.749 -6.654 -0.942
Mn -1.175 -5.764 -1.203
Mn -0.718 -3.864 0.139
Mn -2.898 -1.552 -2.435
Mn -0.012 -0.063 0.002
Mn -0.200 -6.019 -3.278
Mn -1.630 -1.720 -0.554
Mn -3.859 -1.301 -0.389
Mn -2.461 -5.593 -3.110
Si -3.239 -3.908 -1.040
```

Output
magnetization: 2.522 μB per formula unit
DFT total energy: -116.7 eV/f.u.


## Mg149Bi (PBE-GGA)

Data for a relaxed Mg149Bi crystal.

Properties
E = -1.64 eV per atom
energy of formation = -27 meV/atom

The structure in CIF format:
```
data_Mg149Bi
_cell_length_a 16.0009
_cell_length_b 16.0009
_cell_length_c 15.6219
_cell_angle_alpha 90.00
_cell_angle_beta 90.00
_cell_angle_gamma 120.00
_symmetry_space_group_name_H-M 'P -6 m 2'
_symmetry_Int_Tables_number 187
_symmetry_space_group_name_Hall 'P -6 2'
loop_
_atom_site_label
_atom_site_type_symbol
_atom_site_fract_x
_atom_site_fract_y
_atom_site_fract_z
_atom_site_occupancy
Mg1 Mg 0.0000 0.0000 0.0000 1
Mg2 Mg 0.0000 0.0000 0.3335 1
Mg3 Mg 0.9998 0.2000 0.0000 1
Mg4 Mg 0.9999 0.1998 0.3337 1
Mg5 Mg 0.9999 0.4000 0.0000 1
Mg6 Mg 0.9999 0.3996 0.3336 1
Mg7 Mg 0.1298 0.4622 0.5000 1
Mg8 Mg 0.1330 0.0665 0.1669 1
Mg9 Mg 0.1329 0.0665 0.5000 1
Mg10 Mg 0.1332 0.2664 0.1669 1
Mg11 Mg 0.1330 0.2661 0.5000 1
Mg12 Mg 0.1333 0.4664 0.1656 1
Mg13 Mg 0.1982 0.5991 0.3298 1
Mg14 Mg 0.1997 0.3994 0.3328 1
Mg15 Mg 0.1999 0.3999 0.0000 1
Mg16 Mg 0.2002 0.6001 0.0000 1
Mg17 Mg 0.3333 0.0666 0.1667 1
Mg18 Mg 0.3333 0.6667 0.1662 1
Mg19 Mg 0.3335 0.0679 0.5000 1
Mg20 Mg 0.4001 0.2000 0.0000 1
Mg21 Mg 0.4002 0.2001 0.3335 1
Mg22 Mg 0.5332 0.0665 0.1671 1
- - -

[Wanted]
What is needed: copy all of the calculation results earlier on without additions.

[Reply]
Material: GaCuPt2
Method: DFT, GGA-PBE
State: optimized geometry

```
4
Lattice="-0.165 -0.509 3.533 -2.968 2.700 0.250 -2.705 -2.923 -0.547" Properties=species:S:1:pos:R:3 pbc="T T T"
Pt -1.435 -1.716 1.493
Pt -1.566 1.096 1.892
Ga -2.837 -0.112 -0.148
Cu 0.000 0.000 0.000
```

Output
DFT total energy: -21.2 eV/f.u.

***

Material: Ta3Mn8Si
Method: DFT, GGA-PBE
State: optimized geometry

```
12
Lattice="-4.660 0.878 0.345 2.009 -0.527 -4.277 -1.425 -7.674 0.275" Properties=species:S:1:pos:R:3 pbc="T T T"
Ta -0.307 -0.562 -2.718
Ta -0.844 -3.449 -2.614
Ta -3.749 -6.654 -0.942
Mn -1.175 -5.764 -1.203
Mn -0.718 -3.864 0.139
Mn -2.898 -1.552 -2.435
Mn -0.012 -0.063 0.002
Mn -0.200 -6.019 -3.278
Mn -1.630 -1.720 -0.554
Mn -3.859 -1.301 -0.389
Mn -2.461 -5.593 -3.110
Si -3.239 -3.908 -1.040
```

Output
magnetization: 2.522 μB per formula unit
DFT total energy: -116.7 eV/f.u.


## Mg149Bi (PBE-GGA)

Data for a relaxed Mg149Bi crystal.

Properties
E = -1.64 eV per atom
energy of formation = -27 meV/atom

The structure in CIF format:
```
data_Mg149Bi
_cell_length_a 16.0009
_cell_length_b 16.0009
_cell_length_c 15.6219
_cell_angle_alpha 90.00
_cell_angle_beta 90.00
_cell_angle_gamma 120.00
_symmetry_space_group_name_H-M 'P -6 m 2'
_symmetry_Int_Tables_number 187
_symmetry_space_group_name_Hall 'P -6 2'
loop_
_atom_site_label
_atom_site_type_symbol
_atom_site_fract_x
_atom_site_fract_y
_atom_site_fract_z
_atom_site_occupancy
Mg1 Mg 0.0000 0.0000 0.0000 1
Mg2 Mg 0.0000 0.0000 0.3335 1
Mg3 Mg 0.9998 0.2000 0.0000 1
Mg4 Mg 0.9999 0.1998 0.3337 1
Mg5 Mg 0.9999 0.4000 0.0000 1
Mg6 Mg 0.9999 0.3996 0.3336 1
Mg7 Mg 0.1298 0.4622 0.5000 1
Mg8 Mg 0.1330 0.0665 0.1669 1
Mg9 Mg 0.1329 0.0665 0.5000 1
Mg10 Mg 0.1332 0.2664 0.1669 1
Mg11 Mg 0.1330 0.2661 0.5000 1
Mg12 Mg 0.1333 0.4664 0.1656 1
Mg13 Mg 0.1982 0.5991 0.3298 1
Mg14 Mg 0.1997 0.3994 0.3328 1
Mg15 Mg 0.1999 0.3999 0.0000 1
Mg16 Mg 0.2002 0.6001 0.0000 1
Mg17 Mg 0.3333 0.0666 0.1667 1
Mg18 Mg 0.3333 0.6667 0.1662 1
Mg19 Mg 0.3335 0.0679 0.5000 1
Mg20 Mg 0.4001 0.2000 0.0000 1
Mg21 Mg 0.4002 0.2001 0.3335 1
Mg22 Mg 0.5332 0.0665 0.1671 1